Listing:
# 1
# Cs2MnH12Se2O14 GGA-PBEsol optimized geometry
# Calculated density = 3.10 Mg/m³
# Space-group type = P2_1/c, No. 14
# Calculated total energy = -5.396 eV/atom
data_Cs2MnH12Se2O14
_chemical_formula_sum 'Cs4 Mn2 H24 Se4 O28'
_space_group_name_H-M_alt 'P 1'
_space_group_IT_number 1
_cell_length_a 6.485
_cell_length_b 9.450
_cell_length_c 12.960
_cell_angle_alpha 90.00
_cell_angle_beta 90.00
_cell_angle_gamma 105.41
loop_
_space_group_symop_operation_xyz
'x,y,z'
loop_
_atom_site_label
_atom_site_type_symbol
_atom_site_fract_x
_atom_site_fract_y
_atom_site_fract_z
H1 H 0.180 0.789 0.097
O1 O 0.089 0.259 0.927
O2 O 0.666 0.163 0.887
H2 H 0.839 0.898 0.063
Se1 Se 0.236 0.899 0.643
O3 O 0.207 0.010 0.933
H3 H 0.820 0.711 0.597
O4 O 0.505 0.823 0.888
H4 H 0.518 0.157 0.186
H5 H 0.593 0.240 0.869
H6 H 0.839 0.398 0.437
H7 H 0.820 0.211 0.903
Se2 Se 0.236 0.399 0.857
H8 H 0.407 0.760 0.131
O5 O 0.292 0.047 0.569
O6 O 0.911 0.241 0.427
O7 O 0.793 0.990 0.067
H9 H 0.482 0.343 0.686
H10 H 0.161 0.602 0.563
H11 H 0.482 0.843 0.814
O8 O 0.540 0.639 0.184
H12 H 0.583 0.279 0.097
H13 H 0.180 0.477 0.641
O9 O 0.911 0.741 0.073
O10 O 0.089 0.759 0.573
H14 H 0.820 0.023 0.141
Cs1 Cs 0.157 0.865 0.350
Cs2 Cs 0.843 0.635 0.850
H15 H 0.180 0.289 0.403
H16 H 0.161 0.102 0.937
O11 O 0.460 0.361 0.816
O12 O 0.292 0.547 0.931
O13 O 0.089 0.422 0.756
O14 O 0.666 0.663 0.613
H17 H 0.583 0.779 0.403
O15 O 0.495 0.177 0.112
Cs3 Cs 0.843 0.135 0.650
O16 O 0.793 0.490 0.433
O17 O 0.089 0.922 0.744
H18 H 0.180 0.977 0.859
O18 O 0.334 0.837 0.113
Se3 Se 0.764 0.601 0.143
O19 O 0.460 0.861 0.684
Mn1 Mn 0.500 0.500 0.500
Mn2 Mn 0.500 0.000 0.000
H19 H 0.417 0.221 0.597
H20 H 0.417 0.721 0.903
O20 O 0.911 0.578 0.244
H21 H 0.593 0.740 0.631
O21 O 0.708 0.953 0.431
O22 O 0.207 0.510 0.567
O23 O 0.911 0.078 0.256
O24 O 0.540 0.139 0.316
O25 O 0.505 0.323 0.612
H22 H 0.518 0.657 0.314
H23 H 0.407 0.260 0.369
O26 O 0.495 0.677 0.388
O27 O 0.334 0.337 0.387
Cs4 Cs 0.157 0.365 0.150
Se4 Se 0.764 0.101 0.357
H24 H 0.820 0.523 0.359
O28 O 0.708 0.453 0.069

# 2
# YTi3Mo GGA-PBEsol optimized geometry
# Energy of formation from the pure elements = 1.76 eV per atom
# Calculated density = 5.77 Mg/m³
# Space-group type = Pm-3m, No. 221
# DOS at the Fermi energy = 6.43 states/eV/f.u.
data_YTi3Mo
_chemical_formula_sum 'Y1 Ti3 Mo1'
_space_group_name_H-M_alt 'P 1'
_space_group_IT_number 1
_cell_length_a 4.556
_cell_length_b 4.556
_cell_length_c 4.556
_cell_angle_alpha 90.00
_cell_angle_beta 90.00
_cell_angle_gamma 90.00
loop_
_space_group_symop_operation_xyz
'x,y,z'
loop_
_atom_site_label
_atom_site_type_symbol
_atom_site_fract_x
_atom_site_fract_y
_atom_site_fract_z
Mo1 Mo 0.500 0.500 0.500
Ti1 Ti 0.000 0.000 0.500
Ti2 Ti 0.000 0.500 0.000
Ti3 Ti 0.500 0.000 0.000
Y1 Y 0.000 0.000 0.000

# 3
# Ca2FeNi GGA-PBEsol optimized geometry
# Energy of formation from the pure elements = 0.43 eV per atom
# Calculated density = 4.06 Mg/m³
# Space-group type = P4/mmm, No. 123
# ΔE to the lowest computed polymorph = 167.4 meV per atom
# DOS at the Fermi energy = 3.59 states/eV/f.u.
data_Ca2FeNi
_chemical_formula_sum 'Ca2 Fe1 Ni1'
_space_group_name_H-M_alt 'P 1'
_space_group_IT_number 1
_cell_length_a 3.335
_cell_length_b 3.335
_cell_length_c 7.166
_cell_angle_alpha 90.00
_cell_angle_beta 90.00
_cell_angle_gamma 90.00
loop_
_space_group_symop_operation_xyz
'x,y,z'
loop_
_atom_site_label
_atom_site_type_symbol
_atom_site_fract_x
_atom_site_fract_y
_atom_site_fract_z
Fe1 Fe 0.500 0.500 0.000
Ca1 Ca 0.000 0.000 0.733
Ni1 Ni 0.500 0.500 0.500
Ca2 Ca 0.000 0.000 0.267

# 4
# CuRe2Os GGA-PBEsol optimized geometry
# Energy of formation from the pure elements = 0.32 eV per atom
# Calculated density = 18.91 Mg/m³
# Space-group type = I4/mmm, No. 139
# ΔE to the lowest computed polymorph = 0.0 meV per atom
# DOS at the Fermi energy = 4.52 states/eV/f.u.
data_CuRe2Os
_chemical_formula_sum 'Cu1 Re2 Os1'
_space_group_name_H-M_alt 'P 1'
_space_group_IT_number 1
_cell_length_a 3.720
_cell_length_b 3.720

Job:
Print only the last part of the material further above, starting with the line that has "0.911 0.578".

Result:
O20 O 0.911 0.578 0.244
H21 H 0.593 0.740 0.631
O21 O 0.708 0.953 0.431
O22 O 0.207 0.510 0.567
O23 O 0.911 0.078 0.256
O24 O 0.540 0.139 0.316
O25 O 0.505 0.323 0.612
H22 H 0.518 0.657 0.314
H23 H 0.407 0.260 0.369
O26 O 0.495 0.677 0.388
O27 O 0.334 0.337 0.387
Cs4 Cs 0.157 0.365 0.150
Se4 Se 0.764 0.101 0.357
H24 H 0.820 0.523 0.359
O28 O 0.708 0.453 0.069

# 2
# YTi3Mo GGA-PBEsol optimized geometry
# Energy of formation from the pure elements = 1.76 eV per atom
# Calculated density = 5.77 Mg/m³
# Space-group type = Pm-3m, No. 221
# DOS at the Fermi energy = 6.43 states/eV/f.u.
data_YTi3Mo
_chemical_formula_sum 'Y1 Ti3 Mo1'
_space_group_name_H-M_alt 'P 1'
_space_group_IT_number 1
_cell_length_a 4.556
_cell_length_b 4.556
_cell_length_c 4.556
_cell_angle_alpha 90.00
_cell_angle_beta 90.00
_cell_angle_gamma 90.00
loop_
_space_group_symop_operation_xyz
'x,y,z'
loop_
_atom_site_label
_atom_site_type_symbol
_atom_site_fract_x
_atom_site_fract_y
_atom_site_fract_z
Mo1 Mo 0.500 0.500 0.500
Ti1 Ti 0.000 0.000 0.500
Ti2 Ti 0.000 0.500 0.000
Ti3 Ti 0.500 0.000 0.000
Y1 Y 0.000 0.000 0.000

# 3
# Ca2FeNi GGA-PBEsol optimized geometry
# Energy of formation from the pure elements = 0.43 eV per atom
# Calculated density = 4.06 Mg/m³
# Space-group type = P4/mmm, No. 123
# ΔE to the lowest computed polymorph = 167.4 meV per atom
# DOS at the Fermi energy = 3.59 states/eV/f.u.
data_Ca2FeNi
_chemical_formula_sum 'Ca2 Fe1 Ni1'
_space_group_name_H-M_alt 'P 1'
_space_group_IT_number 1
_cell_length_a 3.335
_cell_length_b 3.335
_cell_length_c 7.166
_cell_angle_alpha 90.00
_cell_angle_beta 90.00
_cell_angle_gamma 90.00
loop_
_space_group_symop_operation_xyz
'x,y,z'
loop_
_atom_site_label
_atom_site_type_symbol
_atom_site_fract_x
_atom_site_fract_y
_atom_site_fract_z
Fe1 Fe 0.500 0.500 0.000
Ca1 Ca 0.000 0.000 0.733
Ni1 Ni 0.500 0.500 0.500
Ca2 Ca 0.000 0.000 0.267

# 4
# CuRe2Os GGA-PBEsol optimized geometry
# Energy of formation from the pure elements = 0.32 eV per atom
# Calculated density = 18.91 Mg/m³
# Space-group type = I4/mmm, No. 139
# ΔE to the lowest computed polymorph = 0.0 meV per atom
# DOS at the Fermi energy = 4.52 states/eV/f.u.
data_CuRe2Os
_chemical_formula_sum 'Cu1 Re2 Os1'
_space_group_name_H-M_alt 'P 1'
_space_group_IT_number 1
_cell_length_a 3.720
_cell_length_b 3.720